No comments, please? Disseminating media and communication research

Disseminating scholarly research to journalists and a broader audience has become a vital part of being an academic. You may have been in Deadline yourself, and/or spotted a colleague in a newspaper, radio program or other media outlets. In the revision of The University Act in 2003, the necessity of broad knowledge dissemination and participating in collaborations outside universities has especially been emphasized. As such, the craft of knowledge sharing is also increasingly becoming an aspect of PhD educations and when applying for research grants scholars often must enclose a communication strategy, which ensures the dissemination of results to a broader audience. Disseminating research is not only crucial to the continuous development of knowledge societies, but also to the legitimization of research institutions.

While many scholars may welcome the discipline of communicating one’s knowledge, it is not necessarily an easy task. How to boil down results into one publishable sentence? How to break down complex research designs into two minutes of airtime? How to react when journalists angle their story in a certain way? And further, how to communicate with practitioners and other industry partners? Eventually, many of such encounters turn out well, however, sometimes the exercise of knowledge sharing leads to controversies or even shitstorms directed at the researcher, the research institution, and/or other involved partners.

At SMiD’s 2022 biennial meeting we wish to address the dilemmas attached to the dissemination of media and communication research. We invite a wide arrange of contributions, from traditional papers to personal experiences. Alternative and innovative formats such as roundtables, discussions, interviews, posters, workshops, and working group meetings are possible as well. You are very welcome to share your current research, work-in-progress or other material, your work does not have to have the dissemination process in focus. However, if you do not address the topic directly, we would like to ask you to reflect on the following question related to your research: What are the pitfalls of disseminating your research? What considerations – strategic or otherwise – are important for your choice of platform and/or mode of communication?

The biennial meeting is open to scholars (from PhD candidates to professors) and practitioners on various levels in the broader field of media and communication. Our aim is to collaboratively discuss, share and reflect on our experiences, exchange tips and tricks, support each other and, not at least, learn from each other. We will create a supportive forum, where it is possible to exchange experiences, good as bad ones, with colleagues.

/*
No. 1
Below is a structure of composition C18H54BCaF4O9 at a distorted geometry, with properties calculated with ωB97M-V/def2-TZVPD.

The geometry in ORCA input format:
```
! wB97M-V def2-TZVPD RIJCOSX def2/J DEFGRID3
* xyz 1 1
Ca -2.03 2.19 3.44
B -0.96 0.19 -0.80
F -1.69 0.49 -1.96
F 0.17 -0.43 -1.11
F -0.68 1.32 -0.11
F -1.63 -0.63 -0.01
C 2.56 5.95 -1.89
C 2.81 6.09 -3.35
O 3.73 5.14 -3.77
H 1.53 6.31 -1.88
H 3.26 6.46 -1.23
H 2.52 4.94 -1.47
H 3.15 7.11 -3.53
H 1.99 5.96 -4.07
H 3.25 4.31 -3.89
C 1.50 -2.24 7.08
C 0.26 -1.42 6.58
O 0.43 -1.05 5.20
H 1.53 -2.44 8.15
H 2.38 -1.70 6.75
H 1.47 -3.22 6.61
H 0.17 -0.54 7.21
H -0.65 -1.99 6.72
H 0.69 -1.90 4.85
C -3.56 6.80 -4.37
C -3.37 5.27 -4.21
O -3.59 4.76 -2.93
H -4.55 7.15 -4.10
H -3.29 7.09 -5.38
H -2.82 7.41 -3.84
H -2.34 5.00 -4.46
H -4.12 4.74 -4.79
H -3.18 3.89 -2.87
C 6.65 1.21 1.81
C 5.71 0.25 1.08
O 4.42 0.67 1.33
H 7.64 0.90 1.48
H 6.75 1.08 2.89
H 6.38 2.25 1.65
H 5.68 -0.76 1.50
H 6.00 0.23 0.03
H 3.73 0.23 0.83
C 1.02 -1.71 -5.85
C 1.15 -0.24 -6.17
O 1.69 0.24 -4.94
H 2.02 -2.12 -5.75
H 0.46 -2.04 -6.72
H 0.47 -1.97 -4.94
H 0.23 0.33 -6.20
H 1.77 -0.19 -7.06
H 1.29 -0.29 -4.25
C -4.30 -7.03 3.01
C -4.73 -6.78 1.58
O -5.42 -5.62 1.67
H -5.13 -7.24 3.68
H -3.77 -6.16 3.41
H -3.63 -7.87 3.17
H -5.27 -7.64 1.16
H -3.81 -6.68 1.01
H -5.06 -4.94 1.08
C -7.00 -1.80 -2.74
C -6.20 -2.79 -3.56
O -4.95 -2.80 -2.91
H -8.04 -1.73 -3.05
H -6.43 -0.87 -2.78
H -6.82 -2.03 -1.69
H -6.18 -2.56 -4.63
H -6.80 -3.70 -3.50
H -4.56 -1.98 -3.21
C 3.25 3.62 6.51
C 2.18 4.47 5.87
O 1.72 3.68 4.73
H 3.94 4.16 7.16
H 3.96 3.33 5.74
H 2.86 2.76 7.06
H 2.57 5.41 5.49
H 1.44 4.68 6.65
H 2.56 3.43 4.34
C 1.61 -5.55 -0.90
C 2.19 -4.65 0.20
O 1.09 -4.11 0.92
H 0.77 -5.22 -1.50
H 1.25 -6.50 -0.51
H 2.48 -5.74 -1.52
H 2.71 -3.85 -0.33
H 2.95 -5.23 0.74
H 0.58 -3.55 0.33
*
```

Its HOMO energy is -0.3974 hartree. The calculation puts the energy relative to the best compared isomer or geometry (same formula, charge and spin) at 1404.6 kJ/mol.


No. 2
Below is a structure of composition C18H54BCaF4O9 at a distorted geometry, with properties calculated with ωB97M-V/def2-TZVPD.

The geometry in ORCA input format:
```
! wB97M-V def2-TZVPD RIJCOSX def2/J DEFGRID3
* xyz 2 2
Ca -1.53 -2.51 -1.19
B -0.11 -0.33 -0.08
F -0.07 0.40 1.05
F -1.29 -0.20 -0.70
F 0.92 0.11 -0.94
F 0.09 -1.64 0.23
C -3.24 2.93 3.65
C -2.08 2.79 2.67
O -2.15 1.43 2.17
H -3.46 3.97 3.89
H -3.05 2.41 4.59
H -4.13 2.49 3.21
H -1.12 3.13 3.07
H -2.31 3.45 1.84
H -1.30 1.24 1.76
C -4.78 -0.66 -3.19
C -4.70 -1.71 -2.14
O -3.59 -1.49 -1.31
H -4.79 0.35 -2.79
H -5.66 -0.81 -3.81
H -3.88 -0.69 -3.80
H -4.69 -2.70 -2.58
H -5.62 -1.63 -1.56
H -3.85 -0.82 -0.67
C 3.01 3.03 1.88
C 1.56 3.48 2.18
O 1.56 4.62 3.05
H 3.58 3.84 1.42
H 3.02 2.23 1.14
H 3.59 2.72 2.75
H 0.96 2.67 2.59
H 1.00 3.80 1.30
H 0.63 4.81 3.23
C 5.67 1.03 -1.03
C 4.39 0.24 -0.95
O 3.33 1.17 -1.19
H 6.53 0.39 -0.84
H 5.73 1.86 -0.33
H 5.83 1.41 -2.04
H 4.36 -0.28 0.01
H 4.40 -0.50 -1.75
*/

Suggestions for contributions should be maximum 500 words (including references). For panels, the submission should consist of a panel rationale (max 300 words) and abstracts for all papers (max 150 words each). Deadline for suggestions for contributions is September 15, 2022 (additional information of how to submit your proposal will be announced in late spring). The meeting will be hosted at DMJX in Aarhus, November 17-18, 2022.

Notice of acceptance: No later than October 10, 2022.

For further information or questions regarding the kind of contributions, please contact SMiD’s chairperson Julie Mejse Münter Lassen at